### Listing
/*
Entry 1:
The following is a PBE calculation of a geometry-optimized Rb4TlZn3F12 structure, from Alexandria via LeMat-Bulk.

Calculated values
ΔE_f (raw) in kcal/mol of atoms: -55.8
Total magnetization in μB per cell: 0.00
VASP energy in eV per atom: -4.05

Cell: 7.507 7.507 7.507 Å, 109.47 109.47 109.47°
Atoms (fractional coordinates):
Rb (0.000, 0.000, 0.500)
Rb (0.000, 0.500, 0.000)
Rb (0.500, 0.000, 0.000)
Rb (0.500, 0.500, 0.500)
Tl (0.000, 0.000, 0.000)
Zn (0.000, 0.500, 0.500)
Zn (0.500, 0.000, 0.500)
Zn (0.500, 0.500, 0.000)
F (0.000, 0.272, 0.272)
F (0.000, 0.728, 0.728)
F (0.250, 0.500, 0.750)
F (0.250, 0.750, 0.500)
F (0.272, 0.000, 0.272)
F (0.272, 0.272, 0.000)
F (0.500, 0.250, 0.750)
F (0.500, 0.750, 0.250)
F (0.728, 0.000, 0.728)
F (0.728, 0.728, 0.000)
F (0.750, 0.250, 0.500)
F (0.750, 0.500, 0.250)



Entry 2:
The following is a PBE calculation of a geometry-optimized LaCuO3 structure, from Alexandria via LeMat-Bulk.

Calculated values
ΔE_f (raw) in kcal/mol of atoms: -29.6
Total magnetization in μB per cell: 0.00
VASP energy in eV per atom: -6.07

Cell: 9.278 9.278 9.278 Å, 152.81 152.81 38.84°
Atoms (fractional coordinates):
La (0.000, 0.000, 0.000)
La (0.750, 0.250, 0.500)
Cu (0.180, 0.680, 0.500)
Cu (0.320, 0.820, 0.500)
O (0.298, 0.298, 0.000)
O (0.431, 0.098, 0.334)
O (0.702, 0.702, 0.000)
O (0.764, 0.098, 0.666)
O (0.902, 0.236, 0.334)
O (0.902, 0.569, 0.666)



Entry 3:
The following is a PBE calculation of a geometry-optimized Zn2CuAu5 structure, from Alexandria via LeMat-Bulk.

Calculated values
E above lowest polymorph in meV per atom: 0
Energy of formation from the pure elements in eV per atom: -0.137
Total magnetization in μB per cell: 0.00
VASP energy in eV per atom: -3.02

Cell: 5.634 11.292 4.152 Å, 90.00 90.00 90.00°
Atoms (fractional coordinates):
Zn (0.217, 0.130, 0.000)
Zn (0.283, 0.630, 0.000)
Zn (0.717, 0.370, 0.000)
Zn (0.783, 0.870, 0.000)
Cu (0.000, 0.500, 0.500)
Cu (0.500, 0.000, 0.500)
Au (0.000, 0.000, 0.500)
Au (0.046, 0.741, 0.500)
Au (0.211, 0.389, 0.000)
Au (0.289, 0.889, 0.000)
Au (0.454, 0.241, 0.500)
Au (0.500, 0.500, 0.500)
Au (0.546, 0.759, 0.500)
Au (0.711, 0.111, 0.000)
Au (0.789, 0.611, 0.000)
Au (0.954, 0.259, 0.500)



Entry 4:
The following is a PBE calculation of a geometry-optimized SbRuC3 structure, from Alexandria via LeMat-Bulk.

Calculated values
ΔE_f (raw) in kcal/mol of atoms: 47.5
E above lowest polymorph in meV per atom: 0
Total magnetization in μB per cell: 0.00
VASP energy in eV per atom: -6.16

Cell: 4.053 4.053 4.053 Å, 90.00 90.00 90.00°
Atoms (fractional coordinates):
Sb (0.000, 0.000, 0.000)
Ru (0.500, 0.500, 0.500)
C (0.000, 0.500, 0.500)
C (0.500, 0.000, 0.500)
C (0.500, 0.500, 0.000)



Entry 5:
The following is a PBE calculation of a geometry-optimized K2BeB2 structure, from Alexandria via LeMat-Bulk.

Calculated values
E above lowest polymorph in meV per atom: 93
Energy of formation from the pure elements in eV per atom: 1.429
Total magnetization in μB per cell: 0.00
VASP energy in eV per atom: -2.43

Cell: 9.079 9.079 2.695 Å, 90.00 90.00 90.00°
Atoms (fractional coordinates):
K (0.214, 0.286, 0.000)
K (0.286, 0.786, 0.000)
K (0.714, 0.214, 0.000)
K (0.786, 0.714, 0.000)
Be (0.000, 0.000, 0.000)
Be (0.500, 0.500, 0.000)
B (0.062, 0.562, 0.500)
B (0.438, 0.062, 0.500)
B (0.562, 0.938, 0.500)
B (0.938, 0.438, 0.500)



Entry 6:
The following is a PBE calculation of a geometry-optimized Ta2BeRe structure, from Alexandria via LeMat-Bulk.

Calculated values
E above lowest polymorph in meV per atom: 197
Energy of formation from the pure elements in eV per atom: 0.065
Total magnetization in μB per cell: 0.00
VASP energy in eV per atom: -9.90

Cell: 5.490 8.619 2.745 Å, 90.00 106.64 90.00°
Atoms (fractional coordinates):
Ta (0.250, 0.250, 0.000)
Ta (0.250, 0.750, 0.000)
Ta (0.750, 0.250, 0.000)
Ta (0.750, 0.750, 0.000)
Be (0.000, 0.000, 0.500)
Be (0.500, 0.500, 0.500)
Re (0.000, 0.500, 0.500)
Re (0.500, 0.000, 0.500)



Entry 7:
*/

### Work order
Start at the top of the lines above and set down each line, ending with the one that has "1.429".

### Written answer
Entry 1:
The following is a PBE calculation of a geometry-optimized Rb4TlZn3F12 structure, from Alexandria via LeMat-Bulk.

Calculated values
ΔE_f (raw) in kcal/mol of atoms: -55.8
Total magnetization in μB per cell: 0.00
VASP energy in eV per atom: -4.05

Cell: 7.507 7.507 7.507 Å, 109.47 109.47 109.47°
Atoms (fractional coordinates):
Rb (0.000, 0.000, 0.500)
Rb (0.000, 0.500, 0.000)
Rb (0.500, 0.000, 0.000)
Rb (0.500, 0.500, 0.500)
Tl (0.000, 0.000, 0.000)
Zn (0.000, 0.500, 0.500)
Zn (0.500, 0.000, 0.500)
Zn (0.500, 0.500, 0.000)
F (0.000, 0.272, 0.272)
F (0.000, 0.728, 0.728)
F (0.250, 0.500, 0.750)
F (0.250, 0.750, 0.500)
F (0.272, 0.000, 0.272)
F (0.272, 0.272, 0.000)
F (0.500, 0.250, 0.750)
F (0.500, 0.750, 0.250)
F (0.728, 0.000, 0.728)
F (0.728, 0.728, 0.000)
F (0.750, 0.250, 0.500)
F (0.750, 0.500, 0.250)



Entry 2:
The following is a PBE calculation of a geometry-optimized LaCuO3 structure, from Alexandria via LeMat-Bulk.

Calculated values
ΔE_f (raw) in kcal/mol of atoms: -29.6
Total magnetization in μB per cell: 0.00
VASP energy in eV per atom: -6.07

Cell: 9.278 9.278 9.278 Å, 152.81 152.81 38.84°
Atoms (fractional coordinates):
La (0.000, 0.000, 0.000)
La (0.750, 0.250, 0.500)
Cu (0.180, 0.680, 0.500)
Cu (0.320, 0.820, 0.500)
O (0.298, 0.298, 0.000)
O (0.431, 0.098, 0.334)
O (0.702, 0.702, 0.000)
O (0.764, 0.098, 0.666)
O (0.902, 0.236, 0.334)
O (0.902, 0.569, 0.666)



Entry 3:
The following is a PBE calculation of a geometry-optimized Zn2CuAu5 structure, from Alexandria via LeMat-Bulk.

Calculated values
E above lowest polymorph in meV per atom: 0
Energy of formation from the pure elements in eV per atom: -0.137
Total magnetization in μB per cell: 0.00
VASP energy in eV per atom: -3.02

Cell: 5.634 11.292 4.152 Å, 90.00 90.00 90.00°
Atoms (fractional coordinates):
Zn (0.217, 0.130, 0.000)
Zn (0.283, 0.630, 0.000)
Zn (0.717, 0.370, 0.000)
Zn (0.783, 0.870, 0.000)
Cu (0.000, 0.500, 0.500)
Cu (0.500, 0.000, 0.500)
Au (0.000, 0.000, 0.500)
Au (0.046, 0.741, 0.500)
Au (0.211, 0.389, 0.000)
Au (0.289, 0.889, 0.000)
Au (0.454, 0.241, 0.500)
Au (0.500, 0.500, 0.500)
Au (0.546, 0.759, 0.500)
Au (0.711, 0.111, 0.000)
Au (0.789, 0.611, 0.000)
Au (0.954, 0.259, 0.500)



Entry 4:
The following is a PBE calculation of a geometry-optimized SbRuC3 structure, from Alexandria via LeMat-Bulk.

Calculated values
ΔE_f (raw) in kcal/mol of atoms: 47.5
E above lowest polymorph in meV per atom: 0
Total magnetization in μB per cell: 0.00
VASP energy in eV per atom: -6.16

Cell: 4.053 4.053 4.053 Å, 90.00 90.00 90.00°
Atoms (fractional coordinates):
Sb (0.000, 0.000, 0.000)
Ru (0.500, 0.500, 0.500)
C (0.000, 0.500, 0.500)
C (0.500, 0.000, 0.500)
C (0.500, 0.500, 0.000)



Entry 5:
The following is a PBE calculation of a geometry-optimized K2BeB2 structure, from Alexandria via LeMat-Bulk.

Calculated values
E above lowest polymorph in meV per atom: 93
Energy of formation from the pure elements in eV per atom: 1.429